Why is Crime Scene Cleanup Important?

Death is messy and shocking, but homicide comes with more complexities. It's a mix of emotions, physical and mental damage, and challenging cleanup of blood and other stuff.

Everyone, once in their life, has seen a crime scene on a TV show or the news. From the arrival of paramedics to the removal of the dead body, the post-death activities are efficiently shown in Law & Order and CSI. But what happens after that is something that hardly anyone sees on screen.

After a crime is committed, the police officer arrives with crime-scene investigators and paramedics at the violent crime scene. After checking the victim and recording the scene, they question the family members, collect evidence, and go away after removing the body. What is left is the blood on the walls and floor, which the family members have to clean up, but is it that much easier?

It is the family's responsibility to clean the crime scene, not the professional investigators', irrespective of how much shock and grief they are in. It's sad, and that's why the whole industry named crime scene cleanup came into existence. Let's see what this industry is and how it helps you in minimizing your grief.

What is a Crime Scene Cleanup Service, and Why Does it Emerge?

Initially, families had to clean all blood and stuff by themselves after the initial investigation. The late '90s was the birth period of the crime scene cleanup industry, and some companies emerged in the early 2000s. They efficiently handled the cleaning crime scene job, which is an unimaginable task for murder family members, and let them focus on their emotional healing.

Although the industry is known as crime scene cleanup, it's also known as CTS decon, which means crime and trauma scene decontamination. According to Whitmarsh, the reason behind CTS is that the cleaners handled events in addition to crime. Whether it's a crime, suicide, or natural death, mopping up the area is a necessary but simultaneously potentially horrific task.

As the crime-affected areas contain potential pathogens and biological contaminants, it is equally dangerous for first responders and second ones, whether family or cleanup service providers. Mopping the crime scene requires special knowledge, proper training, safety tools, and measures, which are difficult for murdered family members but easy for service companies. They're professional in suicide, crime scene, and natural death cleanup without leaving any hazardous materials in the area.

Safety is Necessary For Homicide Crime Scene Cleanup

After homicide, the emotional toll is profound. Grief encloses a crucial reality, which ensures the safety of those entering the crime scene. Homicide cleanup has nothing to do with law enforcement; instead, it asks for the expertise of trained biohazard professionals who have a safety-oriented approach.

In such situations, the primary concern lies in biohazardous materials, which require a biohazard removal service. Bloodborne pathogens, including viruses like HIV and Hepatitis B, remain on crime scene surfaces. In case of improper handling and treatment, the risk of infection increases significantly in responders and occupants alike. Moreover, bodily fluids spread harmful bacteria and toxins, and clearing up requires cleaning protocols with proper personal protective equipment (PPE). Organizations like the Occupational Safety and Health Administration (OSHA) outline these protocols and dictate the use of specialized hazmat suits, respirators, and meticulous decontamination procedures (OSHA 31 CFR 1910.1030). These safety measures ensure the protection of everyone involved in each step, from scene assessment to every type of waste disposal, from blood to hoarding. Thus, in this way, biohazard professionals not only protect human health but also preserve the integrity of the crime scene.

Top 10 US States Crime Scene Homicide Death Rates, 2021

The Centers for Disease Control and Prevention (CDC) released the following data. It's 10 US states with the highest homicide mortality rates of the year 2021.

States Death Rate per 100,000 people Total Homicide
Mississippi 23.7 656
Louisiana 21.3 943
Alabama 15.9 748
New Mexico 15.3 306
South Carolina 13.4 656
Missouri 12.4 716
Illinois 12.3 1487
Tennessee 12.2 810
Maryland 12.2 709
Arkansas 11.7 335

Why 911 Bio & Trauma Cleaners Should Be Your Partner in Crime Scene Cleanup and Restoration

When the unthinkable happens, 911 Bio & Trauma Cleaners stands beside you as your trusted partner for safe crime scene cleanup and biohazard remediation. Homicide comes with emotional and logistical complexities, and in this situation, we're here to help you with cleaning tasks with our experienced and professional team so that you can focus on healing.

Our professionals are trained in law enforcement, biohazard handling, and fire safety. Thus, they can efficiently handle situations like

Crime Scene Cleanup

We clean and disinfect all contaminated areas and remove biohazards like blood, tissue, and bodily fluids. During our cleanup process, we prioritize your safety and peace of mind.

Decomposition Cleanup

Decomposition cleanup after unattended deaths is a sensitive task, and we safely remove and dispose of all biohazardous remains and sanitize your area.

Suicide Cleanup

Suicidal cases are tough to handle, and we respectfully let the family members fight their trauma. With our suicide cleanup service, we sanitize the property entirely with no harmful material left behind.

COVID Decontamination

COVID-19 is a harmful and contagious virus and needs proper COVID decontamination. We not only protect your health and safety by thoroughly sanitizing and disinfecting your space but also clean up the area after death occurs due to it.

Odor removal

Many situations involve foul odors, which are difficult for normal people to eliminate properly. Our odor removal service eliminates all lingering odors, restoring your property to a fresh and habitable state.

Restoration & Distressed Property Cleanup

Hoarding also sometimes involves deaths, animal waste messes, and other challenging situations, and we at 911 Bio & Trauma Cleaners offer restoration, hoarding cleaning, and distressed property cleanup. We restore your property to a safe and habitable state.

Vehicle Cleanup

Crystal structures from another source follow
Compound: La2CePrN4
Source: Alexandria via LeMat-Bulk
Functional: GGA-PBE
Structure: optimized geometry

Cell: 6.360 3.682 6.384 Å, 90.00 109.29 90.00°
Space group P2/m (No. 10)
Asymmetric unit:
1 La 0.000 0.000 0.000 [1 per cell]
2 La 0.500 0.500 0.000 [1 per cell]
3 Ce 0.000 0.500 0.500 [1 per cell]
4 Pr 0.500 0.000 0.500 [1 per cell]
5 N 0.235 0.000 0.734 [2 per cell]
6 N 0.241 0.500 0.261 [2 per cell]

- Crystal system: monoclinic
- Formation energy (no corrections): -1.368 eV per atom


Compound: SrHf2GeN
Source: Alexandria via LeMat-Bulk
Functional: GGA-PBE
Structure: optimized geometry

Cell: 4.948 4.948 5.846 Å, 90.00 90.00 90.00°
Space group P4/mmm (No. 123)
Asymmetric unit:
1 Sr 0.000 0.000 0.000 [1 per cell]
2 Hf 0.000 0.500 0.500 [2 per cell]
3 Ge 0.000 0.000 0.500 [1 per cell]
4 N 0.500 0.500 0.000 [1 per cell]

- Crystal system: tetragonal
- Formation energy (no corrections): 1.339 eV per atom


Compound: LiSnRh2F
Source: Alexandria via LeMat-Bulk
Functional: GGA-PBE
Structure: optimized geometry

Cell: 4.328 4.328 4.596 Å, 90.00 90.00 90.00°
Space group P4/mmm (No. 123)
Asymmetric unit:
1 Li 0.000 0.000 0.000 [1 per cell]
2 Sn 0.500 0.500 0.000 [1 per cell]
3 Rh 0.000 0.500 0.500 [2 per cell]
4 F 0.500 0.500 0.500 [1 per cell]

- Crystal system: tetragonal
- Formation energy (no corrections): 0.109 eV per atom


Compound: CrAg2W
Source: Alexandria via LeMat-Bulk
Functional: GGA-PBE
Structure: optimized geometry

Cell: 2.8408 2.8408 28.2800 Å, 90.00 90.00 120.00°
Space group R3m (No. 160, hexagonal axes)
Asymmetric unit:
1 Cr 0.0000 0.0000 0.0000 [3 per cell]
2 Ag 0.0000 0.0000 0.2504 [3 per cell]
3 Ag 0.0000 0.0000 0.4956 [3 per cell]
4 W 0.0000 0.0000 0.7408 [3 per cell]

- Energy of formation from the pure elements: 479 meV/atom
- Crystal system: trigonal


Compound: NaBiPb
Source: Alexandria via LeMat-Bulk
Functional: GGA-PBE
Structure: optimized geometry

Cell: 4.258 4.258 10.380 Å, 90.00 90.00 90.00°
Space group I4mm (No. 107)
Asymmetric unit:
1 Na 0.000 0.000 0.000 [2 per cell]
2 Bi 0.000 0.000 0.321 [2 per cell]
3 Pb 0.000 0.000 0.684 [2 per cell]

- Energy of formation from the pure elements: -136 meV/atom
- Crystal system: tetragonal


Compound: Ac4In2Rh
Source: Alexandria via LeMat-Bulk
Functional: GGA-PBE
Structure: optimized geometry

Cell: 18.522 4.226 7.004 Å, 90.00 111.44 90.00°
Space group C2/m (No. 12)
Asymmetric unit:
1 Ac 0.088 0.000 0.429 [4 per cell]
2 Ac 0.118 0.500 0.973 [4 per cell]
3 In 0.241 0.500 0.662 [4 per cell]
4 Rh 0.000 0.000 0.000 [2 per cell]
End of the crystal structures

Biohazards and trauma scenes often occur in vehicles. With our vehicle cleanup service, we clean your vehicles and restore them to a safe and functional state.

Why Choose 911 Bio & Trauma Cleaners?

●     We have a 24/7 emergency response service.

●     We understand the sensitivity of crime and murder situations and treat everyone with respect and understanding.

●     Our team comprises former law enforcement, firefighters, and biohazard technicians who expertly handle any situation.

●     We employ the latest equipment and techniques in our cleaning process.

●     We operate with the highest standards of professionalism and are fully licensed.

Cleaning a crime scene or biohazard yourself is a risky task with too much emotional toll. Don't be stressed; let our experienced professionals handle the clean


How To Help A Hoarder - Effective Hoarding Cleanup Solutions


Effects of Homicide on Families: How To Cope Grief After Homicide